Wanted:
It remains to filter the entries further below: keep the lines with the word "diffractogram".

Source:
/*
Starting from a crystal structure in the Materials Project, relaxed with GGA-PBE, the powder diffractogram of Sr2Zn3Cd was calculated for Cu Kα X-rays.
Neutral-atom scattering factors, no anomalous dispersion.

Crystal structure
Cell lengths 11.145, 4.904, 7.859 Å; angles 90.00, 134.30, 90.00 degrees
Fractional coordinates of all 12 atoms:
Sr (0.000, 0.000, 0.000)
Sr (0.101, 0.000, 0.602)
Sr (0.500, 0.500, 0.000)
Sr (0.601, 0.500, 0.602)
Zn (0.214, 0.500, 0.021)
Zn (0.375, 0.000, 0.195)
Zn (0.395, 0.000, 0.583)
Zn (0.714, 0.000, 0.021)
Zn (0.875, 0.500, 0.195)
Zn (0.895, 0.500, 0.583)
Cd (0.213, 0.500, 0.401)
Cd (0.713, 0.000, 0.401)

Top 10 peaks for 2θ from 15° to 90°, low angle first:
- (1 1 1), 2.886 Å, I = 22
- (1 1 -2), 2.870 Å, I = 100
- (3 1 -2), 2.855 Å, I = 39
- (4 0 -2), 2.786 Å, I = 22
- (2 0 -3), 2.496 Å, I = 20
- (4 0 -3), 2.482 Å, I = 20
- (0 2 0), 2.452 Å, I = 49
- (3 1 0), 2.337 Å, I = 61
- (1 1 3), 1.516 Å, I = 16
*/

Worked solution:
Starting from a crystal structure in the Materials Project, relaxed with GGA-PBE, the powder diffractogram of Sr2Zn3Cd was calculated for Cu Kα X-rays.